Friday 17 October 2014

Misplaced data records =
-- begin --
Record 1
{
  "formula": "C7H14N4O2S",
  "method": "ωB97M-V with the def2-TZVPD basis set",
  "elements": ["C", "C", "C", "C", "C", "C", "C", "N", "N", "N", "N", "O", "O", "S", "H", "H", "H", "H", "H", "H", "H", "H", "H", "H", "H", "H", "H", "H"],
  "coordinates": [[0.761, -0.558, -0.111], [3.272, -0.330, -0.192], [0.209, 3.289, -0.458], [-1.755, -1.281, 1.262], [-2.398, 0.994, 0.545], [-2.072, -0.742, -1.109], [-1.549, -0.151, 0.161], [0.720, -1.870, -0.544], [4.268, 0.605, -0.334], [-0.166, 0.345, 0.086], [2.032, 0.128, -0.159], [-0.756, 3.527, -1.006], [1.120, 3.121, 0.210], [3.797, -1.857, -0.157], [-2.783, -0.984, 1.697], [-1.792, -2.311, 0.937], [-0.913, -1.192, 1.964], [-3.451, 0.881, 0.234], [-2.077, 1.846, -0.071], [-2.373, 1.081, 1.600], [-1.806, 0.124, -1.838], [-1.528, -1.689, -1.431], [-3.095, -1.137, -1.045], [-0.138, -2.255, -0.286], [1.553, -2.418, -0.428], [4.028, 1.505, 0.168], [5.006, 0.223, 0.276], [1.886, 1.105, 0.029]],
  "forces_ev_per_angstrom": [[1.98, 3.24, -1.23], [-0.02, 1.84, -0.35], [-0.01, 0.02, 1.00], [-0.82, 1.91, 0.69], [-1.19, 1.07, -1.55], [1.58, -0.06, -2.52], [0.20, -2.58, 1.06], [0.61, 1.88, 0.44], [1.86, 2.10, 1.48], [-0.53, -2.39, 0.09], [-4.06, -1.23, 0.21], [-2.01, 0.45, -1.85], [2.19, -0.37, 0.82], [1.03, -4.22, 0.26], [1.75, -1.02, -0.10], [-0.11, -0.22, -0.44], [-0.66, 0.02, 0.34], [0.27, -0.41, 0.32], [0.03, 0.12, 0.88], [0.19, 0.99, 1.01], [-1.26, -1.83, 0.29], [-0.29, 1.43, 0.15], [-0.03, 1.02, -0.10], [-1.20, -1.29, 0.33], [0.15, -0.26, 0.02], [0.11, -0.94, -0.92], [0.28, 0.58, -0.58], [-0.03, 0.17, 0.24]],
  "spin_multiplicity": 3,
  "homo_lumo_gap_ev": [5.5, 5.9]
}

---

Record 2
{
  "formula": "C33H45N8O2PRhS3",
  "method": "ωB97M-V with the def2-TZVPD basis set",
  "elements": ["Rh", "C", "N", "C", "C", "N", "C", "P", "C", "N", "C", "C", "N", "C", "C", "N", "C", "C", "N", "C", "H", "H", "H", "H", "H", "H", "H", "H", "H", "H", "H", "H", "H", "H", "H", "O", "S", "C", "C", "C", "C", "S", "O", "C", "C", "C", "C", "C", "C", "C", "C", "C", "C", "C", "C", "H", "H", "H", "H", "H", "H", "H", "H", "H", "H", "H", "H", "H", "H", "H", "H", "H", "H", "C", "C", "N", "C", "S", "N", "C", "C", "H", "H", "H", "H", "H", "H", "H", "H", "H", "H", "H", "H"],
-- stop --

Here we go!

Welcome!  My first purpose for starting a blog is to help and encourage others who might be in the same situation as me.  I want to share my journey with you and inspire you to do the same.  

If you read the "About Me" section, you will see that I had lapband surgery in 2008.  I never lost any weight with the band.  I did not understand it, all that I knew is that it didn't work for me.  Since I was desperate to lose weight, I started taking prescription diet pills, because that is the only thing that ever worked for me in the past.  

Molecular data that have nothing to do with the piece >
~~~
a | DFT (ωB97M-V/def2-TZVPD) results for a 9-piece molecular cluster, H18O9 overall.

Geometry as XYZ:
```
27
H18O9 (ωB97M-V/def2-TZVPD)
O 0.6872 1.1761 0.2319
H 0.4745 1.7210 -0.5341
H 1.2241 0.4621 -0.1299
O 1.0623 -3.2294 3.2741
H 1.6205 -2.7659 2.6397
H 0.7368 -2.5316 3.8538
O -1.3671 -1.9923 -0.9442
H -0.4608 -1.9476 -0.6195
H -1.8538 -2.4098 -0.2246
O -1.0111 3.0967 0.0803
H -1.8422 2.7543 -0.2675
H -1.0171 2.8305 1.0067
O -3.3749 3.4799 -0.3152
H -3.9951 4.0856 0.1060
H -2.7706 4.0584 -0.7940
O -2.2779 1.1804 -1.6348
H -2.9806 1.2606 -2.2897
H -1.4752 1.3907 -2.1252
O 2.7276 -2.2990 0.6953
H 1.7724 -2.4213 0.7359
H 2.9786 -2.6922 -0.1481
O 1.1796 -0.1736 2.4244
H 1.7879 -0.8068 2.0268
H 0.8263 0.3158 1.6729
O 2.1669 -1.3811 -2.6650
H 2.9016 -1.9675 -2.4524
H 2.2802 -1.1941 -3.6037
```

Summary:
SMILES string = O.O.O.O.O.O.O.O.O
LUMO energy = -0.071 eV

=====

b | DFT (ωB97M-V/def2-TZVPD) results for a 9-piece molecular cluster, H18O9 overall.

Geometry as XYZ:
```
27
H18O9 (ωB97M-V/def2-TZVPD)
O -0.1930 0.6896 -0.8520
H -0.4919 0.0238 -1.4815
H 0.5422 0.2663 -0.3944
O 4.9973 0.9968 -1.1682
H 4.5597 0.2851 -1.6489
H 4.7609 1.7916 -1.6596
O -2.2748 -2.0525 1.5546
H -1.9078 -1.3088 1.0636
H -3.2268 -1.9042 1.5281
O 2.6056 -4.3583 -1.1481
H 3.5144 -4.6555 -1.0264
H 2.5609 -3.5320 -0.6538
O 2.5504 -2.5319 2.2770
H 3.1679 -2.6132 3.0125
H 2.1213 -1.6814 2.4239
O -5.5419 -0.9489 -0.8000
H -4.8522 -0.9480 -1.4733
H -5.0569 -0.9749 0.0325
O -2.0135 3.3438 0.9374
H -1.1346 3.0870 0.6364
H -2.0295 3.0822 1.8649
O 1.9598 4.7397 0.4476
H 2.6497 4.9120 -0.2030
H 1.3933 4.0866 0.0214
O -2.7309 -0.2521 -1.2676
H -3.5257 0.2289 -1.5243
H -2.4041 0.2284 -0.4986
```

Summary:
SMILES string = O.O.O.O.O.O.O.O.O
LUMO energy = -0.362 eV

=====

c | DFT (ωB97M-V/def2-TZVPD) results for a 9-piece molecular cluster, H18O9 overall.

Geometry as XYZ:
```
27
H18O9 (ωB97M-V/def2-TZVPD)
O 0.2132 0.0697 -0.6043
H 0.4057 1.0025 -0.4168
H 0.2022 -0.3490 0.2534
O 0.4432 -1.6904 2.1884
H 1.3568 -1.9689 2.3819
H 0.4290 -1.3519 3.0679
O -1.9169 1.8123 0.5482
H -2.4949 2.1387 1.2266
H -2.4072 1.6901 -0.2416
O 1.2229 -2.7776 -0.6250
H 0.4217 -2.6452 -1.0680
H 1.7921 -2.0489 -0.8620
O 0.7312 -0.7275 -3.2298
H 0.6610 -0.6190 -2.2462
H 0.0364 -0.2642 -3.6285
O -2.2961 -1.5300 -0.2612
H -2.0504 -2.2931 -0.7536
H -1.5613 -0.9564 -0.5538
O 1.0311 2.5187 0.1518
H 1.6774 3.1614 0.4856
H 0.3629 2.5754 0.8167
O -2.0080 -0.3569 2.6736
H -2.0017 -0.5103 1.7567
H -2.8516 0.0970 2.7500
O 2.8491 1.3271 -1.4459
H 2.1439 1.8541 -1.0968
H 3.6082 1.8422 -1.2676
```

Summary:
SMILES string = O.O.O.O.O.O.O.O.O
LUMO energy = -0.029 eV

=====

Pick c: it beats the second-best structure by 19.9 kJ/mol.

=====

a | DFT (ωB97M-V/def2-TZVPD) results for C2H5PS as an isolated structure.

Geometry as XYZ:
```
9
C2H5PS (ωB97M-V/def2-TZVPD)
C -1.9914 0.8880 0.3616
C -1.1029 -0.0691 0.3465
P 1.8569 -1.0871 -0.5016
S 1.1724 0.5980 0.3035
H -2.9552 0.6811 0.1138
H -1.9229 2.0142 0.5293
H -0.9546 -1.1298 0.0642
~~~

I lost weight with the diet pills, but I always needed a quick fix solution and did not think about long-term success.  Of course I gained the weight back, and then some.  It was not until this year, after soo many years of abusing diet pills, that my body finally rejected them and I started getting some pretty serious side-effects that I could not ignore.  I had to stop the diet pills.  

What could I do without the diet pills?  I thought of every other solution I could possibly muster, I even started looking at other weight loss surgery ideas and options, but then I started reading some posts from other lapbanders about what they were doing and what they had learned.  I also read one post that directed me to watch a video called The Eight Golden Rules of the lapband  where I learned concepts about the band that I had not known before.  

Since I don't have heaps of money to spend on another surgery, nor the desire to go under the knife again or cut anything out of me, I've decided to give the lapband another try.  It may be hard, but not impossible.  I cannot expect any weight loss surgery to work for me if I don't first change my mindset.  If I fail with the band because of bad habits and eating around it, then I am likely to fail with another surgery as well.  I have to learn to break old habits and work through any mental roadblocks.  

I also have to think about permanent change and long-term success.  Thus, begins my journey.  Please follow me, as I would love nothing more than to be someone who was a failure with the lapband for six years who transformed her mind to have success with the band, and inspire others to do so as well.  


  1. Wow, this exactly what I am going through right now. I can't wait to read your journey and hopefully follow along on my own. I got the band 2 years ago and never did my part, so I never lost anything. I wanted to turn to pills, then I realized that I never really used my tool in the first place. Its almost embarrassing to admit that. I am so excited that I have found someone with a very niche issue like mine. Thank you for being brave and starting your blog. You have a follower for sure :)

    1. Julia, thank you so much for your response! It gives me so much encouragement! I wasn't sure about starting my own blog as I've never done anything like this before, but I really wanted to give others hope who have not been successful with the band. I have been learning so much and want to share it with others. It's not too late to use the tool properly! I made every mistake possible, and now I am excited to share what I have been learning. Thanks so much for following me :) I really appreciate the support and love to be an encouragement. Would love to have you join me on this journey as well - it's not too late to start again! The best thing about the band is that it is the ONLY weight loss surgery that is adjustable! Check out my next article on that very topic, and thanks again for your message :)

  2. I am going to be banded in about 6 weeks time. I'm reading so many blogs, the good, the bad and the ugly. I have a lot of hope for it and I wish you all the very best of luck. I have a blog myself to help me on my journey so please feel free to have a look.

    1. Miss Meg - thank you so much for your message! It gives me encouragement to know that others are reading it. It's great to hear that you are going to be banded soon - it is the best decision I've ever made! Amazing that I can say that after not being successful, but the reason for that is that my mindset wasn't right. You have to overcome emotional eating, and you have to follow the plan given to you and not try to eat around the band like I did. I have not been an overly structured person so I am learning to get better with that now and learning to do my part to plan my meals and ensure I get the right amount of protein, in order to give myself the best chance at success. I am now learning to use my band the proper way. Be sure to get as much support as you can and keep educating yourself. I will check out your blog as well. Thanks for your support! :)

  3. I wanted to say, BEFORE I read a single word of your blog, that the concept of you working your band for the first time 6 years after surgery gives me such hope and encouragement! How brave to never give up and give it a fresh approach. So happy to dive in and read about your journey! (thanks, Lapband Gal for letting us know!)

    1. Thank you so much Tina! I appreciate you taking the time to post and appreciate your encouraging words! I really want to have success and be able to help others. I can't believe I am actually using my tool for the first time! I've overcome a lot of mental challenges and sorting out a lot along the way to make the band work. I would love to share what I am learning with you. Thanks for following my blog! Much appreciated :) :)
